Are Googlers Really That Different From the Rest of Us?
This is not the first blog I have written about mistakes I think Google is making in how they are managing the company. It will probably not be the last. This blog was prompted by an article a friend sent me from the New York Times by Adam Bryant, Google’s Quest to Build a Better Boss. It appears that Google has invested quite a sum to determine what kind of boss they need to manage their company in the future. As Bryant says, “So as only a data-mining giant like Google can do, it began analyzing performance reviews, feedback surveys and nominations for top-manager awards, they correlated phrases, words, praise and complaints.” He also reported, “Once they had some working theories, they figured out a system for interviewing managers to gather more data, and to look for evidence that supported their notions (bold italics are mine).
(Calculated crystals, as found in the file)
- - -
Entry 1:
Material: NdEuTmSc
Method: DFT, PBE
State: relaxed

Calculated values
**Energy**: -6.307 eV per atom
**V**: 31.8 A^3/atom
**DOS(E_F)**: 6.13 states/eV/f.u.
**ΔH_f (0 K)**: 155 meV per atom

Lattice parameters (Å, degrees): 5.643 5.643 5.643 60.00 60.00 60.00
Sites, in units of the cell vectors:
Tm (0.750, 0.750, 0.750)
Sc (0.250, 0.250, 0.250)
Nd (0.000, 0.000, 0.000)
Eu (0.500, 0.500, 0.500)

***

Entry 2:
Material: NdEuYSc
Method: DFT, PBE
State: relaxed

Calculated values
**Energy**: -6.802 eV per atom
**V**: 32.4 A^3/atom
**DOS(E_F)**: 6.85 states/eV/f.u.
**ΔH_f (0 K)**: 158 meV per atom

Lattice parameters (Å, degrees): 5.680 5.680 5.680 60.00 60.00 60.00
Sites, in units of the cell vectors:
Eu (0.000, 0.000, 0.000)
Sc (0.500, 0.500, 0.500)
Nd (0.250, 0.250, 0.250)
Y (0.750, 0.750, 0.750)

***

Entry 3:
Material: Nd2EuSe
Method: DFT, PBE
State: relaxed

Calculated values
**Energy**: -6.489 eV per atom
**V**: 36.1 A^3/atom
**Formation energy from raw total energies**: -666 meV per atom
**DOS(E_F)**: 3.50 states/eV/f.u.

Lattice parameters (Å, degrees): 3.965 3.965 10.860 79.48 79.48 60.00
Sites, in units of the cell vectors:
Nd (0.111, 0.111, 0.668)
Nd (0.889, 0.889, 0.332)
Eu (0.000, 0.000, 0.000)
Se (0.500, 0.500, 0.500)

***

Entry 4:
Material: NdEuSe2
Method: DFT, PBE
State: relaxed

Calculated values
**Energy**: -7.442 eV per atom
**V**: 27.5 A^3/atom
**Formation energy from raw total energies**: -1939 meV per atom
**DOS(E_F)**: 1.64 states/eV/f.u.

Lattice parameters (Å, degrees): 4.247 4.247 7.453 73.45 73.45 60.00
Sites, in units of the cell vectors:
Eu (0.500, 0.500, 0.500)
Se (0.749, 0.749, 0.752)
Se (0.251, 0.251, 0.248)
Nd (0.000, 0.000, 0.000)

***

Entry 5:
Material: NdEuSi
Method: DFT, PBE
State: relaxed

Calculated values
**Energy**: -7.199 eV per atom
**V**: 31.0 A^3/atom
**Formation energy from raw total energies**: -377 meV per atom
**DOS(E_F)**: 8.45 states/eV/f.u.

Lattice parameters (Å, degrees): 5.088 5.088 5.088 60.00 60.00 60.00
Sites, in units of the cell vectors:
Nd (0.500, 0.500, 0.500)
Si (0.250, 0.250, 0.250)
Eu (0.000, 0.000, 0.000)

***

Entry 6:
Material: NdEuSi4
Method: DFT, PBE
State: relaxed

Calculated values
**Energy**: -6.425 eV per atom
**V**: 19.1 A^3/atom
**Formation energy from raw total energies**: -302 meV per atom
**DOS(E_F)**: 4.01 states/eV/f.u.

Lattice parameters (Å, degrees): 5.452 5.452 5.452 60.00 60.00 60.00
Sites, in units of the cell vectors:
Eu (0.250, 0.250, 0.250)
Si (0.629, 0.113, 0.629)
Si (0.629, 0.629, 0.629)
Si (0.629, 0.629, 0.113)
Si (0.113, 0.629, 0.629)
Nd (0.000, 0.000, 0.000)

* * * * *

Entry from Alexandria via LeMat-Bulk: crystalline Ni2Mo6C at its relaxed geometry (GGA-PBE).

Geometry as extended XYZ:
```
18
Lattice="5.1920 0.0000 0.0000 0.0000 6.1195 0.0000 -5.0462 0.0000 7.9000" Properties=species:S:1:pos:R:3 pbc="T T T"
Ni -0.2230 0.6419 1.9978
Ni -2.7461 2.4179 5.9478
Ni 2.8918 3.7016 1.9522
Ni 0.3688 5.4776 5.9023
Mo -4.2560 1.1463 7.5103
- - -
This activity involved more than 10,000 interviews and over 100 variables. With this kind of “research” it is no wonder that the results were “so forehead-slappingly obvious.” They found—get this—that managers had a greater impact on employees’ performance and how they felt about their job than any other factor. How many thousands of employee hours and company resources did it consume to come to this conclusion? Google now trains managers based on the results of this study.
Next to the page, the page also holds calculated crystals:
/*
Entry 1:
VASP calculation (PBE) on an optimized crystal structure of Li4In3Hg4. Values from VASP.

The structure in Quantum ESPRESSO input format:
```
&SYSTEM
  ibrav = 0, nat = 11, ntyp = 3
/
ATOMIC_SPECIES
Li 6.94 Li.upf
In 114.82 In.upf
Hg 200.59 Hg.upf
ATOMIC_POSITIONS angstrom
Li 2.252 -2.044 4.890
Li 0.000 1.563 2.644
Li 2.252 2.044 4.890
Li 0.000 5.651 2.644
In 2.252 0.000 0.000
In 0.000 0.000 5.486
In 0.000 0.000 9.584
Hg 2.252 0.000 3.069
Hg 0.000 2.127 0.000
Hg 0.000 5.086 0.000
Hg 0.000 3.607 4.465
CELL_PARAMETERS angstrom
-2.252 3.607 7.535
2.252 -3.607 7.535
2.252 3.607 -7.535
```

Results
Space group   No. 71
V   22.3 Å³/atom
Polymorph energy (0 for the lowest one)   0.089 eV per atom
Size of the total moment   0.00 Bohr magnetons per cell
E   -18.96 eV/cell

Entry 2:
VASP calculation (PBE) on an optimized crystal structure of Sc2CdAg2. Values from VASP.

The structure in Quantum ESPRESSO input format:
```
&SYSTEM
  ibrav = 0, nat = 10, ntyp = 3
/
ATOMIC_SPECIES
Sc 44.96 Sc.upf
Cd 112.41 Cd.upf
Ag 107.87 Ag.upf
ATOMIC_POSITIONS angstrom
Sc 1.393 0.000 0.762
Sc 0.015 2.416 4.251
Sc 5.553 2.416 0.762
Sc 4.175 0.000 4.251
Cd -1.376 0.000 2.506
Cd 2.784 2.416 2.506
Ag 0.013 2.416 1.382
Ag 1.395 0.000 3.631
Ag 4.173 0.000 1.382
Ag 5.554 2.416 3.631
CELL_PARAMETERS angstrom
8.320 0.000 0.000
0.000 4.831 0.000
-2.752 0.000 5.013
```

Results
Space group   No. 12
V   20.1 Å³/atom
Size of the total moment   0.00 Bohr magnetons per cell
E   -40.53 eV/cell

* * * * *

# NbFeSi

A geometry-optimized NbFeSi structure (PBE, the Open Quantum Materials Database).

- DFT total energy (eV per cell) = -50.46
- SG = No. 186
- M_tot (μB/f.u.) = 0.92
- crystal system = hexagonal

Cell lengths 4.024, 4.024, 6.006 Å; angles 90.00, 90.00, 120.00 degrees
Site moments in Bohr magnetons follow the coordinates.
Atoms (fractional coordinates):
Fe  0.333  0.667  0.061  0.87
Fe  0.667  0.333  0.561  0.91
Si  0.333  0.667  0.468  0.00
Si  0.667  0.333  0.968  0.00
Nb  0.000  0.000  0.722  -0.03
Nb  0.000  0.000  0.222  -0.03
*/
Quotes from a couple of managers who had been through the training speak to what they learned. One said, “…two of the most important things I can do is just make sure I have some time for them and to be consistent. And that’s more important than doing the rest of the stuff.” Another said the training helped him understand the importance of giving clear and direct feedback. While I understand that someone who is inconsistent and does not give clear and direct feedback will be less effective than those who do, those things will not create a company that brings out the best in its employees.
Even spending time with employees does not guarantee an improvement in morale or performance. It is possible that spending time with the boss can be a punishing experience. Many managers who give clear and consistent feedback are also very punishing, and can therefore create employees who are only willing to give just enough do get by. The most important thing Google can teach its managers is how to deliver contingent positive reinforcement. They are not likely to do that since their culture is built on non-contingent reinforcement. Indeed one of their 10 Golden Rules for managing knowledge workers is to cater to their every need.
I think they have misinterpreted Peter Drucker who said to strip away everything that gets in their way. I think Drucker meant that a company should eliminate all the unnecessary administrative goobledegoop. What Google has interpreted it to mean is to provide things like first-class dining facilities, gyms, laundry rooms, massage rooms, haircuts, carwashes, dry cleaning, commuting buses—just about anything a hardworking engineer might want.
No. 1
# YTa2Re, relaxed, DFT PBE-GGA
data_YTa2Re
_chemical_formula_sum 'Y2 Ta4 Re2'
_space_group_name_H-M_alt 'C m m 2'
_space_group_IT_number 35
_cell_length_a 3.282
_cell_length_b 4.866
_cell_length_c 9.634
_cell_angle_alpha 90.00
_cell_angle_beta 90.00
_cell_angle_gamma 90.00
loop_
_space_group_symop_operation_xyz
'x,y,z'
'-x,-y,z'
'-x,y,z'
'x,-y,z'
'x+1/2,y+1/2,z'
'-x+1/2,-y+1/2,z'
'-x+1/2,y+1/2,z'
'x+1/2,-y+1/2,z'
loop_
_atom_site_label
_atom_site_type_symbol
_atom_site_fract_x
_atom_site_fract_y
_atom_site_fract_z
_atom_site_occupancy
Y1 Y 0.000 0.000 0.000 1
Ta1 Ta 0.000 0.000 0.532 1
Ta2 Ta 0.000 0.500 0.292 1
Re1 Re 0.000 0.500 0.747 1
# * E: -10.4399 eV per atom
# * formation enthalpy at 0 K: 21 kJ per mole of atoms
# * mass density: 13.75 g/cm³
# * energy relative to the lowest polymorph listed for this composition: 0.122 eV per atom

No. 2
# Y2TaRe2, relaxed, DFT PBE-GGA
data_Y2TaRe2
_chemical_formula_sum 'Y4 Ta2 Re4'
_space_group_name_H-M_alt 'P 4/m b m'
_space_group_IT_number 127
_space_group_name_Hall '-P 4 2ab'
_cell_length_a 6.758
_cell_length_b 6.758
_cell_length_c 4.801
_cell_angle_alpha 90.00
_cell_angle_beta 90.00
_cell_angle_gamma 90.00
loop_
_atom_site_label
_atom_site_type_symbol
_atom_site_fract_x
_atom_site_fract_y
_atom_site_fract_z
_atom_site_occupancy
Y1 Y 0.176 0.324 0.000 1
Ta1 Ta 0.000 0.000 0.500 1
Re1 Re 0.128 0.628 0.500 1
# * E: -9.8093 eV per atom
# * formation enthalpy at 0 K: 12 kJ per mole of atoms
# * mass density: 11.07 g/cm³
# * energy relative to the lowest polymorph listed for this composition: 0.000 eV per atom

No. 3
# YTa2Re, relaxed, DFT PBE-GGA
data_YTa2Re
_chemical_formula_sum 'Y3 Ta6 Re3'
_space_group_name_H-M_alt 'R 3 m'
_space_group_IT_number 160
_space_group_name_Hall 'R 3 -2"'
_cell_length_a 3.1315
_cell_length_b 3.1315
_cell_length_c 28.0474
_cell_angle_alpha 90.00
_cell_angle_beta 90.00
_cell_angle_gamma 120.00
loop_
_atom_site_label
_atom_site_type_symbol
_atom_site_fract_x
_atom_site_fract_y
_atom_site_fract_z
_atom_site_occupancy
Y1 Y 0.0000 0.0000 0.0000 1
Ta1 Ta 0.0000 0.0000 0.5102 1
Ta2 Ta 0.0000 0.0000 0.7631 1
Re1 Re 0.0000 0.0000 0.2465 1
# * E: -10.3025 eV per atom
# * formation enthalpy at 0 K: 34 kJ per mole of atoms
# * mass density: 13.32 g/cm³
# * energy relative to the lowest polymorph listed for this composition: 0.259 eV per atom

No. 4
# YTa2Re, relaxed, DFT PBE-GGA
data_YTa2Re
_chemical_formula_sum 'Y1 Ta2 Re1'
_space_group_name_H-M_alt 'P 4/m m m'
_space_group_IT_number 123
_space_group_name_Hall '-P 4 2'
_cell_length_a 4.021
_cell_length_b 4.021
_cell_length_c 4.837
_cell_angle_alpha 90.00
_cell_angle_beta 90.00
_cell_angle_gamma 90.00
loop_
_atom_site_label
_atom_site_type_symbol
_atom_site_fract_x
_atom_site_fract_y
_atom_site_fract_z
_atom_site_occupancy
Y1 Y 0.000 0.000 0.000 1
Ta1 Ta 0.000 0.500 0.500 1
Re1 Re 0.500 0.500 0.000 1
# * E: -10.1455 eV per atom
# * formation enthalpy at 0 K: 49 kJ per mole of atoms
# * mass density: 13.53 g/cm³
**Here the page continues:**
The problem is that they are also all the things a non-hardworking engineer might want. The assumption is that having these things available for employees will cause them to spend more time in productive work. I know of no research to support this notion. It seems to me that Google has spent a lot of time and money to learn that employees at Google are just like employees everywhere else. They all respond to the laws of human behavior. Googlers are not so special that they follow their own set of behavioral laws. By learning those laws, executives and other managers at Google can save a lot of time and money and develop truly effective managers who bring out the best in all employees.